DLL - Mapeh 6 - Q2 - W8
DLL - Mapeh 6 - Q2 - W8
DLL - Mapeh 6 - Q2 - W8
A.Content Standards Demonstrates the concept of Demonstrates understanding The learner understands the Demonstrates understanding of participation in and
melody by using intervals in of shapes, space, colors, and importance of keeping the assessment of physical activities and physical fitness.
the major scale and in the the principles of emphasis, school and community
minor scale. harmony and contrast in environments healthy
digital painting and poster
design using new
B.Performance Standards Applies learned concepts of Applies concepts on the use of The learner demonstrates Participates and assess performance in physical
melody and other elements software in creating digital practices for building and activities.
to composition and paintings and graphic design. maintaining healthy school Assesses physical fitness
performance. and community environments
C.Learning Competencies/Objectives Creates simple melodies in Creates an Practices proper waste Assesses regularly in physical activites based on the
4.2 Key of G Major advertisement/commercial or management at home, in Philippines Physical activity pyramid
MU6ME-IIa-4 announcement poster school, and in the community. PE6-11b-h-1
- A6PL-IIh H6CMH-IIh-8 Observes safety precautions
Executes the different skills involved in the games
II.CONTENT Melody Digital Painting Graphic Proper Waste Management Assessment of Physical Activities and Physical Fitness
1.Teacher’s Guide pages
2.Learners’s Materials pages
3.Textbook pages Enjoying Life trhough Music, Enjoying Life Through Music, Enjoying Life Through Music, Enjoying Life Through Music, Arts ,Physical Education
Arts, Physical education and Arts ,Physical Education and Arts ,Physical Education and and Health 6 pp. 40-45
Health 6 pp. 46-53 Health 6 Health 6 pp. 47-53
4.Additional materials from learning
resource (LR) portal
B.Other Learning Resource Powerpoint presentation, Powerpoint presentation, LCD Powerpoint presentation Powerpoint presentation, LCD projector, speaker
LCD projector, speaker projector Laptop/netbook,PC activity cards LCD Projector
-- What comes next are records of molecules, not part of the entry --
16
Properties=species:S:1:pos:R:3:forces:R:3 method="wB97M-V/def2-TZVPD" multiplicity=2 lumo_ev="-4.1 / -8.7" de_lowest_kcal_mol=0.0 s_squared=0.7637 homo_lumo_gap_ev="11.12 / 6.39" total_charge=+1
K 2.479 1.694 1.762 -0.09 0.12 -0.02
S -1.017 1.157 0.278 -4.48 1.50 -0.94
S 0.711 -0.156 -1.046 1.95 -3.77 -5.60
F -2.158 0.042 2.404 0.83 0.54 2.91
F 3.038 -0.850 0.011 0.21 -0.56 -0.68
F 2.688 -1.617 -2.087 0.53 0.35 0.93
F 1.659 -2.488 -0.425 0.10 -1.57 0.92
F -2.545 -1.128 0.748 0.34 -1.32 -1.40
F -3.612 0.693 0.981 0.56 0.50 -0.24
O -0.781 2.306 1.106 1.14 -0.82 0.34
O -0.376 -0.836 -1.820 2.49 1.41 1.95
O 1.349 1.031 -1.574 -0.57 0.17 0.16
O -1.559 1.438 -1.060 1.80 -1.08 2.41
N 0.391 0.049 0.424 -2.61 1.64 1.95
C 2.194 -1.417 -0.879 -2.09 2.11 -1.15
C -2.461 0.081 1.176 -0.12 0.78 -1.54

***

92
Properties=species:S:1:pos:R:3:forces:R:3 method="wB97M-V/def2-TZVPD" multiplicity=3 lumo_ev="-5.8 / -7.0" s_squared=2.0049 homo_lumo_gap_ev="4.10 / 2.82" total_charge=+1
Pd 4.720 -10.366 -15.504 -0.45 -0.02 -0.40
O 8.381 -12.369 -28.653 0.46 -1.30 -1.29
O -1.126 -12.229 -14.841 -1.75 -0.02 1.45
O 4.470 -7.731 -27.714 -0.43 -0.06 0.12
O 2.586 -9.347 -17.995 -0.45 -1.31 0.53
O 9.914 -20.933 -13.566 0.92 -0.64 0.80
O 11.788 -10.055 -18.069 -0.25 -2.95 0.63
O 5.909 -13.658 -18.456 0.39 -1.05 -1.13
O 10.839 -12.536 -14.000 -0.63 -2.08 -1.46
N 8.872 -19.423 -14.760 -1.72 3.04 -2.77
N 0.828 -10.919 -16.074 -1.21 -0.92 -1.09
N 6.581 -9.259 -27.752 0.29 -1.93 0.77
N 9.315 -10.523 -15.420 -0.26 1.11 0.70
N 7.701 -20.777 -13.451 -3.22 -0.78 0.82
C 11.996 -13.338 -14.246 0.65 0.11 1.59
C 10.169 -9.803 -16.372 0.49 -1.86 -0.49
C 5.536 -9.824 -26.853 -0.74 2.38 -1.05
C 12.423 -10.918 -19.002 1.40 1.22 -1.35
C 8.877 -20.403 -13.902 3.28 -1.69 1.19
C -2.408 -12.145 -14.119 1.06 -0.50 -0.68
C 0.305 -12.219 -16.634 0.80 -0.27 -1.04
C 7.996 -11.398 -27.771 -0.57 2.77 -0.87
C 7.421 -13.327 -29.100 1.62 -0.36 0.03
C 1.239 -9.784 -18.280 -0.99 2.04 2.45
C 0.412 -9.772 -16.926 0.99 -0.98 -0.40
C 7.506 -15.419 -19.324 -0.02 1.91 -1.29
C 9.782 -10.342 -14.045 0.47 -0.75 -0.68
C 4.609 -8.572 -26.614 1.01 -1.29 1.05
C -1.190 -12.445 -16.228 2.20 0.28 0.29
C 6.024 -14.894 -19.133 0.20 -2.01 1.03
C 7.151 -10.284 -28.580 0.77 -2.01 0.25
C 3.605 -8.326 -28.658 0.53 0.66 -0.52
C 5.239 -14.904 -20.460 0.75 1.75 0.40
C 3.343 -8.917 -19.109 -0.43 -0.16 -0.33
C 10.792 -10.836 -17.367 -1.72 2.92 -0.67
C 11.098 -11.192 -13.874 -0.65 1.54 1.51
H 9.949 -9.291 -13.809 0.27 0.00 -0.19
H 4.881 -10.617 -27.214 0.23 -0.28 -1.16
H 13.313 -10.379 -19.326 -0.01 0.22 -0.16
H 11.846 -11.082 -19.912 -0.48 -0.02 0.10
H 5.786 -14.093 -20.940 -0.43 -0.17 -1.18
H 7.768 -9.965 -29.420 0.73 0.80 0.61
H -1.743 -11.640 -16.712 -0.67 -0.39 -0.20
H 4.354 -9.325 -19.097 0.10 0.08 0.37
H 6.230 -8.502 -28.321 -0.32 -0.01 0.31
H 7.599 -21.632 -12.923 0.21 0.27 -0.21
H -3.059 -13.002 -14.290 0.24 -0.30 -0.33
H 8.904 -10.873 -27.474 0.17 -0.09 0.10
H 0.458 -12.291 -17.711 -0.45 0.32 -0.20
A.Reviewing previous lesson or What key signature have you What is MS Publisher? Activity: What is Net and Wall games? What skills have you
presenting the new lesson learned last week? Are you What features are used in MS Charades What game belongs to net performed yesterday?
familiar already on how to Publisher? The teacher will choose 3 and Wall have you learned?
create simple melodies in What are the uses of MS pupils who will act the What are the skills involved in
key of C? Publisher? given situations. the game?
1. Recycle/recycling,
2. Composting,
3. Segregation/Sorting
Are you practicing this
proper waste management
at home? In school? In the
B.Establishing a purpose for the Present the song “O Come Have you seen flyers or What other methods can Let the learners view a video Have the learners
lesson All Ye Faithful” advertisement posted in any you do to apply proper about how to play volleyball. performed warm up
Let them recite the rhythmic wall or open area in your waste disposal at home? In exercises
syllables locality? school? In the community?
Words of the song then What do you usually read or
listen to the tune see in it?
Eco-friendly bag
biodegradable wastes
D.Discussing new concepts and Allow the learners to observe The teacher will discuss Further discuss the different Call on a learner to
practicing new skills #1 the poster sample shown to the practices on proper skills involve in volleyball execute the said skills
them. waste management in a. Spiking
Why do advertisers create an school and in the b. Forearm pass
attractive poster? community c. Overhead
What do they apply the art Information Index- passing
principles of emphasis? “All About The Waste “
Prepared by:
Teacher-In Charge